[1]
A plane-wave DFT calculation with PBE was carried out for a relaxed CeCu2S3 crystal.

## Properties
* excess energy over the best structure of this formula in the dataset: 32.6 meV per atom
* energy: -5.323 eV per atom
* M_tot: 0.3 Bohr magnetons per cell
* formation energy without anion corrections: -904 meV/atom

Unit cell a=4.7295 b=7.1647 c=7.1647 alpha=108.67 beta=90.00 gamma=90.00
Each line ends with the local moment (μB).
Fractional positions:
Ce  0.2500  0.2502  0.7498  0.29
Ce  0.7500  0.7498  0.2502  0.29
Cu  0.0000  0.1974  0.1974  -0.02
Cu  0.5000  0.1974  0.1974  -0.02
Cu  0.0000  0.8026  0.8026  -0.02
Cu  0.5000  0.8026  0.8026  -0.02
S  0.7500  0.1100  0.8900  -0.02
S  0.7500  0.1616  0.4573  -0.02
S  0.2500  0.4573  0.1616  -0.02
S  0.7500  0.5427  0.8384  -0.02
S  0.2500  0.8384  0.5427  -0.02
S  0.2500  0.8900  0.1100  -0.02

[2]
A plane-wave DFT calculation with PBE was carried out for a relaxed CeCuS2 crystal.

## Properties
* energy: -5.915 eV per atom
* M_tot: 4.0 Bohr magnetons per cell
* formation energy without anion corrections: -1343 meV/atom

Unit cell a=7.2026 b=6.4693 c=6.9040 alpha=82.15 beta=90.00 gamma=90.00
Each line ends with the local moment (μB).
Fractional positions:
Ce  0.5520  0.6889  0.2003  0.91
Ce  0.0520  0.3111  0.2997  0.91
Ce  0.4480  0.3111  0.7997  0.91
Ce  0.9480  0.6889  0.7003  0.91
Cu  0.8333  0.0691  0.9626  0.00
Cu  0.1667  0.9309  0.0374  0.00
Cu  0.3333  0.9309  0.5374  0.00
Cu  0.6667  0.0691  0.4626  0.00
S  0.8833  0.9100  0.2843  -0.01
S  0.3833  0.0900  0.2157  -0.01
S  0.1167  0.0900  0.7157  -0.01
S  0.6167  0.9100  0.7843  -0.01
S  0.7269  0.4121  0.5004  -0.02
S  0.7731  0.4121  0.0004  -0.02
S  0.2731  0.5879  0.4996  -0.02
S  0.2269  0.5879  0.9996  -0.02

[3]
A plane-wave DFT calculation with PBE was carried out for a relaxed CeCu2S3 crystal.

## Properties
* excess energy over the best structure of this formula in the dataset: 0.0 meV per atom
* energy: -5.355 eV per atom
* M_tot: 0.3 Bohr magnetons per cell
* formation energy without anion corrections: -937 meV/atom

Unit cell a=3.9302 b=6.7774 c=9.6274 alpha=99.13 beta=90.00 gamma=90.00
Each line ends with the local moment (μB).
Fractional positions:
Ce  0.2500  0.8200  0.3217  0.22
Ce  0.7500  0.1800  0.6783  0.22
Cu  0.2500  0.4042  0.9183  -0.02
Cu  0.7500  0.5958  0.0817  -0.02
Cu  0.7500  0.2003  0.3454  -0.01
Cu  0.2500  0.7997  0.6546  -0.01
S  0.7500  0.9425  0.1631  -0.01
S  0.2500  0.0575  0.8369  -0.01
S  0.7500  0.5376  0.8360  -0.01
S  0.2500  0.4624  0.1640  -0.01
S  0.2500  0.2316  0.4703  -0.01
S  0.7500  0.7684  0.5297  -0.01

[4]
A plane-wave DFT calculation with PBE was carried out for a relaxed Ce2CuSbS5 crystal.

## Properties
* energy: -5.721 eV per atom
* M_tot: 4.0 Bohr magnetons per cell
* formation energy without anion corrections: -1197 meV/atom

Unit cell a=3.8988 b=8.6016 c=11.7977 alpha=90.00 beta=90.00 gamma=103.10
Each line ends with the local moment (μB).
Fractional positions:
Ce  0.8811  0.7622  0.8076  0.92
Ce  0.1133  0.2266  0.6834  0.93
Ce  0.1189  0.2378  0.3076  0.92
Ce  0.8867  0.7734  0.1834  0.93
Cu  0.4971  0.9943  0.9837  -0.02
Cu  0.5029  0.0057  0.4837  -0.02
Sb  0.8125  0.6249  0.5016  0.01
Sb  0.1875  0.3751  0.0016  0.01
S  0.3562  0.7124  0.9994  -0.02
S  0.7003  0.4007  0.8321  -0.02
S  0.5044  0.0088  0.7894  -0.03
S  0.2932  0.5863  0.6611  -0.01
S  0.9606  0.9212  0.5656  -0.01
S  0.6438  0.2876  0.4994  -0.02
S  0.2997  0.5993  0.3321  -0.02
S  0.4956  0.9912  0.2894  -0.03
S  0.7068  0.4137  0.1611  -0.01
S  0.0394  0.0788  0.0656  -0.01

[5]
A plane-wave DFT calculation with PBE was carried out for a relaxed CeCuSbS crystal.

## Properties
* energy: -5.552 eV per atom
* M_tot: 0.7 Bohr magnetons per cell
* formation energy without anion corrections: -982 meV/atom

Unit cell a=4.4893 b=4.4893 c=8.5882 alpha=90.00 beta=90.00 gamma=90.00
Each line ends with the local moment (μB).
Fractional positions:
Ce  0.5000  0.0000  0.6901  0.38

Say how many lines of the lines earlier on hold the word "gamma", as a bare number, please.

5